(Exercise)
Next, retype every line below that contains the word "forces".

(Input)
/*
Entry from the OMol25 dataset: 2 unconnected molecules or ions with the total composition C3H2NOS2 at a distorted geometry (ωB97M-V with the def2-TZVPD basis set).

Structure (XYZ):
```
9
Properties=species:S:1:pos:R:3:forces:R:3
C 1.481 -0.055 0.843 -1.8 0.3 -2.0
C 2.038 0.777 -1.217 1.4 0.1 -0.7
C 0.127 0.688 0.412 -1.8 -1.8 0.1
N 2.361 0.148 -0.165 2.4 -0.3 -0.4
O 1.708 -0.646 1.851 -0.4 -0.3 1.3
S 4.361 1.396 -2.871 -1.3 -0.3 0.7
S 0.384 1.316 -1.241 -0.3 0.6 -0.2
H -0.923 0.141 0.329 2.4 0.7 0.9
H 0.131 1.443 1.171 -0.7 0.8 0.3
```
Forces are in eV/Å.

Its multiplicity is 1. As for the total charge: -1. As for the HOMO-LUMO gap (alpha / beta): 6.3224 / 6.8553 eV. The calculation puts the relative energy (zero: lowest compared OMol25 entry of this formula, charge and spin) at 4.808 eV.



Entry from the OMol25 dataset: a molecular structure, C32H36GeInN8S3Se (ωB97M-V with the def2-TZVPD basis set).

Structure (XYZ):
```
82
Properties=species:S:1:pos:R:3:forces:R:3
In -0.373 -0.223 -0.136 -0.5 -0.1 -0.1
C 0.713 1.805 -4.088 0.0 0.0 0.1
C 0.530 1.417 -2.654 -0.4 -0.3 -0.5
N -0.234 0.447 -2.295 0.1 0.2 0.7
N -0.878 -0.297 -3.190 0.1 -0.3 -0.9
C -1.869 -1.048 -2.752 -0.1 0.3 0.1
N -2.384 -1.916 -3.632 -0.1 0.0 0.0
S -2.605 -0.963 -1.192 0.1 0.1 0.3
C 1.183 2.169 -1.577 0.2 0.3 0.2
C 2.055 3.220 -1.849 -0.1 -0.1 0.0
C 2.641 3.905 -0.799 0.0 -0.1 0.1
C 2.342 3.530 0.501 0.0 0.1 -0.1
C 1.456 2.488 0.693 -0.1 0.0 0.0
N 0.885 1.833 -0.314 0.0 -0.5 0.1
H 0.071 1.183 -4.702 0.0 0.0 0.0
H 0.452 2.853 -4.241 0.0 0.0 0.0
H 1.750 1.662 -4.397 0.0 0.0 0.0
H -2.046 -1.921 -4.580 0.1 0.0 0.0
H -3.194 -2.452 -3.384 0.0 0.0 0.0
H 2.268 3.498 -2.871 0.0 0.0 0.0
H 3.327 4.718 -0.994 0.0 0.0 0.0
H 2.791 4.031 1.346 0.0 0.0 0.0
H 1.188 2.157 1.689 0.0 0.0 0.0
S -0.413 -2.139 1.534 0.0 0.6 0.2
C -0.096 -3.026 0.102 0.2 -0.4 -0.3
N 0.262 -2.424 -0.999 0.1 0.3 0.2
C 0.434 -3.309 -2.049 0.1 -0.3 -0.1
C 0.840 -2.989 -3.343 0.1 0.0 0.1
C 0.979 -4.008 -4.266 0.0 0.1 0.0
C 0.719 -5.336 -3.920 -0.1 -0.1 0.0
C 0.323 -5.670 -2.638 0.0 0.0 0.0
C 0.191 -4.648 -1.708 0.0 0.2 0.1
S -0.270 -4.751 -0.028 0.1 0.2 -0.1
H 1.047 -1.958 -3.594 0.0 0.0 -0.1
H 1.311 -3.781 -5.270 0.0 0.0 0.0
H 0.829 -6.116 -4.662 0.0 0.0 0.0
H 0.131 -6.697 -2.358 0.0 0.0 0.0
C 3.525 -4.351 1.373 0.2 0.1 -0.2
Ge 4.703 -3.405 0.112 0.0 0.2 0.0
C 4.244 -3.739 -1.766 0.1 0.0 0.2
C 6.581 -3.929 0.371 -0.2 0.0 0.0
C 4.666 -1.427 0.403 0.0 -0.2 0.0
Se 3.006 -0.409 0.630 0.2 -0.3 0.1
C 2.771 -0.851 2.512 0.1 0.0 -0.1
H 3.502 -5.410 1.116 0.0 0.0 0.0
H 2.507 -3.967 1.335 -0.1 0.0 0.0
H 3.899 -4.258 2.393 0.0 0.0 0.0
H 4.179 -4.810 -1.959 0.0 0.0 0.0
H 5.021 -3.323 -2.409 0.0 0.0 0.0
H 3.296 -3.285 -2.032 -0.2 0.0 0.0
H 6.685 -4.995 0.164 0.0 0.0 0.0
H 6.930 -3.744 1.386 0.0 0.0 0.0
H 7.225 -3.387 -0.321 0.0 0.0 0.0
H 5.165 -0.960 -0.446 0.0 0.0 0.0
H 5.250 -1.182 1.292 0.1 0.0 0.0
H 2.778 -1.932 2.627 -0.1 0.0 0.0
H 1.812 -0.460 2.841 0.0 0.0 0.1
H 3.582 -0.402 3.082 0.0 0.0 0.0
N -3.782 3.985 5.112 0.2 -0.2 -0.1
C -4.862 4.711 5.550 -0.4 0.1 -0.2
C -5.153 5.341 6.756 0.1 0.0 0.1
C -6.363 5.995 6.834 0.1 0.0 0.1
C -7.266 6.014 5.757 -0.1 0.0 -0.1
C -6.980 5.391 4.563 0.0 0.0 0.0
C -5.749 4.738 4.454 0.2 0.1 0.4
N -5.199 4.061 3.395 0.1 -0.2 -0.3
C -4.039 3.626 3.811 -0.4 0.3 0.2
C -3.153 2.825 2.981 0.3 -0.3 -0.3
C -2.031 2.156 3.473 -0.1 0.1 0.0
C -1.293 1.366 2.617 0.1 -0.1 0.0
N -1.590 1.219 1.325 0.2 -0.2 -0.2
C -2.657 1.867 0.842 0.0 0.1 -0.1
C -3.454 2.672 1.624 0.0 0.1 0.2
H -2.954 3.785 5.643 0.0 0.0 0.0
H -4.466 5.315 7.591 0.0 0.0 0.0
H -6.630 6.506 7.749 0.0 0.0 0.0
H -8.210 6.529 5.877 0.0 0.0 0.0
H -7.674 5.392 3.734 0.0 0.0 0.0
H -1.742 2.220 4.513 0.0 0.0 0.0
H -0.438 0.805 2.980 0.0 0.0 0.0
H -2.877 1.709 -0.207 0.0 0.0 0.0
H -4.320 3.177 1.222 0.0 0.0 -0.1
```
Forces are in eV/Å.
*/

(Here it is)
Properties=species:S:1:pos:R:3:forces:R:3
Properties=species:S:1:pos:R:3:forces:R:3